Page 3 of Birthday Girl

“Come on. Let’s get a quick run on the beach before our shift. I’ll shout you a coffee.” Mikayla frowned, waiting for Rafe to answer. He’d rolled up the blow-up mattress and was shoving it back in the cupboard, his back to her. “Rafe?”

“Huh?” He turned, an uncharacteristically guarded expression on his face.

“You wanna take the dogs for a run on the beach before we drop them at your place? I’ve got a soccer ball in the trunk of my car. We can give them a really good run.” He scrubbed his hand through his black hair, looking like he was trying to find a way to say no. Mikayla’s frown deepened. “No?”

But then he said, his tone flat, “Ah, yeah, sure. Let’s do that.”

Perplexed, she turned away to put her shoes on. They walked from Ambulance HQ across to Coco’s Cafe, on Main Street. The air was cold and still, as if all its power had been used up the night before. Rafe was quiet, answering her in monosyllables. Although he wasn’t a highly extroverted person, neither was he the shy type. He also wasn’t moody or broody, as a rule, but he definitely seemed to be both at that moment. Maybe she could take his mind off whatever was bothering him.

Once they got to the beach, Mikayla put her coffee cup on the rock wall that separated the beach from the cycle path. She stepped onto the wet sand, unclipped the dogs from their leashes and booted the soccer ball along the sand as hard as she could. She grinned as both pups took off, streaking along the sand and ending in a tangle of fur as they scrambled around. Buttercup won the skirmish, picking the ball up by the string and jogging back to Mikayla, with Wesley close on her heels. She dropped it at Mikayla’s feet, who then toed it over to Rafe. He stepped forward and booted the ball again, then strode off after the dogs without a word. Mikayla grabbed her coffee and followed. She held the plastic lid down as she jogged by Rafe, bumping him with her hip so some of his coffee spilled over. He rolled his eyes at her, so she flashed a cheeky smile before heading off after the dogs.

“I wanna try something. Watch this. Buttercup, sit.” Mikayla rolled the soccer ball under her foot, moving it around, watching Buttercup as she avidly followed the movement. Then she flipped the ball to the top of her foot and flicked it in the air, laughing delightedly when Buttercup bounced up and bumped the ball hard with her nose back towards Mikayla. “Oh, clever girl! Let’s do it again to make sure it wasn’t a fluke.” Buttercup performed the trick three more times, which finally garnered a smile from Rafe. “How do you think she learned that? I’m pretty sure she didn’t know it before we found her, or we would have seen it by now.”

He shrugged, drinking the last of his coffee, moving over to the bin near the footpath, and throwing the cup away. “Like I said, they’re smart dogs.” He clicked his fingers, patting his hip for Wesley to heel, then gestured to Mikayla to give him the ball. She felt the first stirrings of temper at his ongoing attitude, so she flicked the ball up with her foot, kicking it at him a little harder than was necessary. She felt a burst of satisfaction when she heard him exhale sharply as it hit him square in the chest. He dropped the ball at his feet, moving back and saying to Wesley, “Give me the ball.” Wesley hustled forward, pushing at the ball with his nose so that it rolled towards Rafe.

Mikayla clapped in appreciation, momentarily forgetting her temper. “How did you know he could do that?”

“I didn’t, really. I’ve just noticed that they pay a lot of attention when we play with them so I thought maybe he could do more than just fetch the ball back when we kick it.”

“Hmm, I wonder what else they can do.”

Rafe gave a disinterested shrug before booting the ball hard, watching as the dogs shot off after it. Mikayla stomped over to the bin and dropped her half-finished coffee in. Walking back to Rafe, she punched him on the arm and said, “Race ya!” She took off quickly, fairly confident he couldn’t catch her if she got a good enough head start. She was pretty fast, but she couldn’t outrun his long strides. Mikayla slowed once she got to where the dogs were wrestling over the ball and turned to see Rafe jogging up behind her.

“Cheer up, McKenzie, or I’m gonna have to surgically remove whatever bug’s crawled up your ass.”

A glimmer of amusement at her turn of phrase showed in his dark eyes. “I don’t know what you’re talking about.”

Mikayla rolled her eyes. “Whatever. Here.” She grabbed the ball from the dogs and toed it to him. He showed off some pretty impressive footwork, keeping the ball away from the dogs. Mikayla checked her watch. “Should probably get going. I want to have a shower before work.”

“Okay.” Rafe pushed the ball forward, letting the dogs nose it along rather than picking it up. Mikayla saw her opportunity and ran up behind him. She placed her hands on his shoulders and boosted up to wrap her legs around his waist. He stiffened for just the briefest moment before hooking his arms under her legs and piggybacking her along the beach, but it was enough to have her frowning with concern. Had she upset him? Wasshethe bug up his ass? Jesus that sounded weird. She would have laughed if she wasn’t so concerned. They were always perfectly straight with each other so she was pretty confident if she’d upset him in any way, he would have let her know. Plus, she couldn’t think of anything she had done or said that might have rubbed him the wrong way. She shifted to get down and he let her. They walked back to HQ in silence. Mikayla was desperate to ask him, genuinely, what was wrong but for the first time in their entire friendship, she hesitated, scared of what the answer might be. Maybe she could just see how he was during their shift and if he was still in this weird mood, she’d have to bring it up. She just couldn’t work with him if it was going to be like this.

* * *

“And then he was fine. It was so strange.” Mikayla reached for a corn chip, munching on it pensively. She looked around the room. With just under two weeks until Juniper and William’s wedding, she was excited to see all the planning really starting to come together. Juniper had wanted a short engagement, and with the ceremony taking place less than three months after William’s proposal, she was getting her way. William had to work double time to get the Long House at the Blessed Inlet lighthouse compound ready in time, leaving all the finer details to Juniper. So here they were, comfortably ensconced at a corner table in the long room with Juniper, making the table centerpieces while Mikayla looked on, pretending to be helpful.

“Hmm, that is strange. It doesn’t sound like him at all.” Juniper finished tying a sapphire-colored ribbon to the base of a glass bowl that contained polished silver stones and a fat pillar candle.

“Exactly!” Mikayla passed over the scissors, watching as Juniper cut the extra lengths of ribbon off. “I dunno, maybe he just needs a good shag. He hasn’t dated in a while. Maybe I could set him up with someone.” As soon as the words were spoken, Mikayla felt a flash of objection. “Nah, I’ve set him up before and it didn’t work out.”


“Yeah, it was a girl I went to uni with. Don’t know what I was thinking. She totally wasn’t his type, she was too…I don’t know, girly.”

“Oh? What’s his type?”

Mikayla gave it some thought. “He dated this really great girl about five years ago. Met her at a football round robin we played in. She was sporty, fun, didn’t take herself too seriously.”

+++
No. 1
# Ho4Er8Tm
Calculated XRD peak list, Cu Kα (weighted mean of Kα1 and Kα2). Input: the GGA-PBE geometry in Alexandria.
Kinematic intensities with the Lorentz-polarization factor, no thermal factor.

```
data_Ho4Er8Tm
_symmetry_space_group_name_H-M 'R -3 m'
_symmetry_Int_Tables_number 166
_symmetry_space_group_name_Hall '-R 3 2"'
_cell_length_a 7.1793
_cell_length_b 7.1793
_cell_length_c 27.0738
_cell_angle_alpha 90.00
_cell_angle_beta 90.00
_cell_angle_gamma 120.00
loop_
_atom_site_label
_atom_site_fract_x
_atom_site_fract_y
_atom_site_fract_z
Ho1 0.0000 0.0000 0.0000
Ho2 0.0000 0.5000 0.0000
Er1 0.0000 0.0000 0.2150
Er2 0.0343 0.5171 0.7669
Tm1 0.0000 0.0000 0.5000
```

Most intense lines, 15° ≤ 2θ ≤ 90°, sorted by position:
- (0 2 1), d 3.088, 2θ = 28.9°, I = 15
- (0 0 9), d 3.008, 2θ = 29.7°, I = 28
- (0 2 4), d 2.825, 2θ = 31.7°, I = 100
- (2 0 5), d 2.696, 2θ = 33.2°, I = 39
- (2 0 8), d 2.289, 2θ = 39.4°, I = 30
- (2 2 0), d 1.795, 2θ = 50.9°, I = 30
- (0 2 13), d 1.730, 2θ = 52.9°, I = 15
- (2 2 9), d 1.541, 2θ = 60.0°, I = 20
- (4 0 4), d 1.515, 2θ = 61.2°, I = 14
- (0 4 5), d 1.494, 2θ = 62.1°, I = 11

***

No. 2
# Ho3Er2Tm8
Calculated XRD peak list, Cu Kα (weighted mean of Kα1 and Kα2). Input: the GGA-PBE geometry in Alexandria.
Kinematic intensities with the Lorentz-polarization factor, no thermal factor.

```
data_Ho3Er2Tm8
_symmetry_space_group_name_H-M 'C 1 2/m 1'
_symmetry_Int_Tables_number 12
_cell_length_a 22.5402
_cell_length_b 6.7243
_cell_length_c 5.5035
_cell_angle_alpha 90.00
_cell_angle_beta 104.05
_cell_angle_gamma 90.00
loop_
_symmetry_equiv_pos_as_xyz
'x,y,z'
'-x,-y,-z'
'-x,y,-z'
'x,-y,z'
'x+1/2,y+1/2,z'
'-x+1/2,-y+1/2,-z'
'-x+1/2,y+1/2,-z'
'x+1/2,-y+1/2,z'
loop_
_atom_site_label
_atom_site_fract_x
_atom_site_fract_y
_atom_site_fract_z
Ho1 0.0000 0.0000 0.0000
Ho2 0.0000 0.2653 0.5000
Er1 0.2223 0.5000 0.2225
Tm1 0.0747 0.5000 0.0750
Tm2 0.1531 0.2619 0.6536
Tm3 0.1862 0.0000 0.1866
```

Most intense lines, 15° ≤ 2θ ≤ 90°, sorted by position:
- (6 0 0), d 3.644, 2θ = 24.4°, I = 18
- (2 2 -1), d 2.845, 2θ = 31.4°, I = 100
- (5 1 1), d 2.769, 2θ = 32.3°, I = 48
- (2 0 -2), d 2.752, 2θ = 32.5°, I = 59
- (6 0 1), d 2.717, 2θ = 33.0°, I = 56
- (2 2 1), d 2.670, 2θ = 33.6°, I = 16
- (6 2 0), d 2.471, 2θ = 36.4°, I = 18
- (0 4 0), d 1.681, 2θ = 54.6°, I = 17
- (4 2 -3), d 1.606, 2θ = 57.4°, I = 18
- (2 4 -2), d 1.435, 2θ = 65.0°, I = 15

***

No. 3
# Ho3Er3Tm8
Calculated XRD peak list, Cu Kα (weighted mean of Kα1 and Kα2). Input: the GGA-PBE geometry in Alexandria.
Kinematic intensities with the Lorentz-polarization factor, no thermal factor.

```
data_Ho3Er3Tm8
_symmetry_space_group_name_H-M 'I m m m'
_symmetry_Int_Tables_number 71
_symmetry_space_group_name_Hall '-I 2 2'
_cell_length_a 5.5165
_cell_length_b 10.6407
_cell_length_c 14.6464
_cell_angle_alpha 90.00
_cell_angle_beta 90.00
_cell_angle_gamma 90.00
loop_
_atom_site_label
_atom_site_fract_x
_atom_site_fract_y
_atom_site_fract_z
Ho1 0.0000 0.0000 0.0000
+++

“What went wrong?” Juniper asked curiously.

“You know, I’m not sure. She moved to Sydney for work. I know she asked him to go with her. They had dated for about a year, so it wasn’t out of the question. But he said thanks but no thanks. He never really told me why.” She shrugged.

“Maybe the move was too much.”

Mikayla, remembering Juniper’s reaction to the possibility of moving to Sydney, reached over to rub her arm affectionately. “He quite likes the city though, and he would have found work easily enough. It’s not like he had much keeping him here at the time, since his grandmother had passed away.”

“He had you.” Juniper shot her a look as she reached for another bowl.

Mikayla snorted. “What, you think he turned down a relationship with a lovely girl to hang out here with little old me?”